### Job
Next, start at the top of the rows further below and reproduce each line, ending with the one that has "(7)".

### Data
=====
Below is crystalline Sn at its relaxed geometry, with properties calculated at the PBE level.

Structure (CIF):
```
data_Sn
_space_group_name_H-M_alt 'P 1'
_space_group_IT_number 1
_cell_length_a 4.700
_cell_length_b 4.700
_cell_length_c 4.700
_cell_angle_alpha 60.00
_cell_angle_beta 60.00
_cell_angle_gamma 60.00
loop_
_space_group_symop_operation_xyz
'x,y,z'
loop_
_atom_site_label
_atom_site_fract_x
_atom_site_fract_y
_atom_site_fract_z
_atom_site_occupancy
Sn1 0.750 0.750 0.750 1
Sn2 0.500 0.500 0.500 1
```

Computed properties:
symmetry: Fd-3m (227)
total energy: -0.1473 hartree per atom
energy of formation from the pure elements: 0.000 eV/f.u.
polymorph energy (0 for the lowest one): 0.000 eV per atom

---

Below is crystalline Ca2NdRuO6 at its relaxed geometry, with properties calculated at the PBE level.

Structure (CIF):
```
data_Ca2NdRuO6
_space_group_name_H-M_alt 'P 1'
_space_group_IT_number 1
_cell_length_a 5.611
_cell_length_b 5.901
_cell_length_c 8.114
_cell_angle_alpha 90.00
_cell_angle_beta 90.06
_cell_angle_gamma 90.00
loop_
_space_group_symop_operation_xyz
'x,y,z'
loop_
_atom_site_label
_atom_site_fract_x
_atom_site_fract_y
_atom_site_fract_z
_atom_site_occupancy
O1 0.670 0.284 0.069 1
Ru1 0.000 0.499 0.501 1
O2 0.288 0.679 0.552 1
O3 0.326 0.720 0.932 1
O4 0.387 0.948 0.229 1
Nd1 0.516 0.560 0.254 1
O5 0.116 0.449 0.270 1
O6 0.616 0.051 0.770 1
O7 0.788 0.821 0.052 1
Ru2 0.500 0.001 0.001 1
O8 0.710 0.323 0.447 1
Ca1 0.000 0.496 0.000 1
O9 0.170 0.216 0.569 1
Nd2 0.016 0.940 0.754 1
Ca2 0.985 0.059 0.245 1
Ca3 0.500 0.004 0.500 1
O10 0.210 0.177 0.947 1
O11 0.826 0.780 0.432 1
O12 0.887 0.552 0.729 1
Ca4 0.485 0.441 0.745 1
```

Computed properties:
symmetry: Pc (7)
total energy: -0.2643 hartree per atom
energy of formation from the pure elements: -28.291 eV/f.u.

---

Below is crystalline Ti3Si3Mo2 at its relaxed geometry, with properties calculated at the PBE level.

Structure (CIF):
```
data_Ti3Si3Mo2
_space_group_name_H-M_alt 'P 1'
_space_group_IT_number 1
_cell_length_a 5.053
_cell_length_b 7.442
_cell_length_c 7.355
=====

### Result
Below is crystalline Sn at its relaxed geometry, with properties calculated at the PBE level.

Structure (CIF):
```
data_Sn
_space_group_name_H-M_alt 'P 1'
_space_group_IT_number 1
_cell_length_a 4.700
_cell_length_b 4.700
_cell_length_c 4.700
_cell_angle_alpha 60.00
_cell_angle_beta 60.00
_cell_angle_gamma 60.00
loop_
_space_group_symop_operation_xyz
'x,y,z'
loop_
_atom_site_label
_atom_site_fract_x
_atom_site_fract_y
_atom_site_fract_z
_atom_site_occupancy
Sn1 0.750 0.750 0.750 1
Sn2 0.500 0.500 0.500 1
```

Computed properties:
symmetry: Fd-3m (227)
total energy: -0.1473 hartree per atom
energy of formation from the pure elements: 0.000 eV/f.u.
polymorph energy (0 for the lowest one): 0.000 eV per atom

---

Below is crystalline Ca2NdRuO6 at its relaxed geometry, with properties calculated at the PBE level.

Structure (CIF):
```
data_Ca2NdRuO6
_space_group_name_H-M_alt 'P 1'
_space_group_IT_number 1
_cell_length_a 5.611
_cell_length_b 5.901
_cell_length_c 8.114
_cell_angle_alpha 90.00
_cell_angle_beta 90.06
_cell_angle_gamma 90.00
loop_
_space_group_symop_operation_xyz
'x,y,z'
loop_
_atom_site_label
_atom_site_fract_x
_atom_site_fract_y
_atom_site_fract_z
_atom_site_occupancy
O1 0.670 0.284 0.069 1
Ru1 0.000 0.499 0.501 1
O2 0.288 0.679 0.552 1
O3 0.326 0.720 0.932 1
O4 0.387 0.948 0.229 1
Nd1 0.516 0.560 0.254 1
O5 0.116 0.449 0.270 1
O6 0.616 0.051 0.770 1
O7 0.788 0.821 0.052 1
Ru2 0.500 0.001 0.001 1
O8 0.710 0.323 0.447 1
Ca1 0.000 0.496 0.000 1
O9 0.170 0.216 0.569 1
Nd2 0.016 0.940 0.754 1
Ca2 0.985 0.059 0.245 1
Ca3 0.500 0.004 0.500 1
O10 0.210 0.177 0.947 1
O11 0.826 0.780 0.432 1
O12 0.887 0.552 0.729 1
Ca4 0.485 0.441 0.745 1
```

Computed properties:
symmetry: Pc (7)